Today is February 18th , 2025
The Canadian Charter of Rights and Freedoms
The Canadian Charter of Rights and Freedoms came into force on April 17,1982. Section 15 of the Charter (equality rights) came into effect three years after the rest of the Charter, on April 17, 1985, to give governments time to bring their laws into line with section 15.
The Charter is founded on the rule of law and entrenches in the Constitution of Canada the rights and freedoms Canadians believe are necessary in a free and democratic society. It recognizes primary fundamental freedoms (e.g. freedom of expression and of association), democratic rights (e.g. the right to vote), mobility rights (e.g. the right to live anywhere in Canada), legal rights (e.g. the right to life, liberty and security of the person) and equality rights, and recognizes the multicultural heritage of Canadians. It also protects official language and minority language education rights. In addition, the provisions of section 25 guarantee the rights of the Aboriginal peoples of Canada.
Record 1
ORCA calculation (ωB97M-V with the def2-TZVPD basis set) on 3 unconnected molecules or ions with the total composition C4H10N2O.

Results
SMILES string   N=C=O.C=N.CC
Highest occupied orbital energy   -10.1 eV
LUMO level   0.7 eV

Geometry as XYZ:
```
17
Properties=species:S:1:pos:R:3:nbo_charge:R:1
H -1.528 -0.390 1.253 0.177
H 1.015 1.500 1.777 0.194
H 2.096 -0.299 0.368 0.203
C 1.305 0.341 -0.026 -0.611
N -1.028 -0.527 -2.094 -0.781
H -1.130 -2.923 -0.092 0.347
H 0.460 2.295 0.298 0.221
O -0.900 1.778 -1.649 -0.538
H 2.186 2.197 0.655 0.205
H -0.579 -1.827 1.907 0.171
C -0.884 0.612 -1.711 0.847
H 0.381 -0.313 0.269 0.200
H 1.587 0.505 -1.066 0.218
C -1.085 -1.361 1.053 -0.056
N -1.522 -1.999 0.041 -0.625
C 1.237 1.663 0.722 -0.617
H -1.610 -1.251 -1.703 0.443
```

---

Record 2
ORCA calculation (ωB97M-V with the def2-TZVPD basis set) on 2 unconnected molecules or ions with the total composition C4H10N2O.

Results
SMILES string   CC(C)=[NH+][O-].C=N
Highest occupied orbital energy (spin up / spin down)   -8.3 / -8.3 eV
LUMO level (spin up / spin down)   0.8 / 0.8 eV

Geometry as XYZ:
```
17
Properties=species:S:1:pos:R:3:nbo_charge:R:1
C 0.552 0.727 -1.640 -0.653
H -0.890 -1.666 -1.251 0.219
C 0.518 -0.251 -0.508 0.204
H -1.869 1.584 0.596 0.155
N 1.271 -0.019 0.548 -0.035
N -0.692 1.179 2.186 -0.597
H 0.965 0.269 -2.542 0.221
H 0.786 -2.161 -1.434 0.229
H 0.051 -2.193 0.169 0.256
H 1.135 1.615 -1.402 0.218
H -2.215 -0.054 1.399 0.150
H 1.626 0.944 0.652 0.364
H -0.561 0.518 2.939 0.352
O 1.273 -0.720 1.603 -0.558
C 0.087 -1.657 -0.774 -0.676
H -0.469 1.050 -1.875 0.224
C -1.568 0.835 1.333 -0.072
```

---

Record 3
ORCA calculation (ωB97M-V with the def2-TZVPD basis set) on 2 unconnected molecules or ions with the total composition C4H10N2O.

Results
SMILES string   CC(N)=O.C=CN
Highest occupied orbital energy   -8.4 eV
LUMO level   0.8 eV

Geometry as XYZ:
```
17
Properties=species:S:1:pos:R:3:nbo_charge:R:1
H 0.166 -0.309 3.371 0.397
O 1.920 -1.052 2.241 -0.603
H 1.232 1.694 -2.486 0.188
C 0.522 1.080 -1.964 -0.523
N -1.169 2.821 -2.060 -0.807
H 1.310 -2.947 0.612 0.248
H 0.170 -1.779 -0.202 0.248
C 0.436 -2.266 0.736 -0.725
H -1.055 -1.376 2.813 0.380
N -0.303 -0.748 2.565 -0.843
H -1.492 0.891 -1.238 0.190
C -0.747 1.524 -1.735 0.009
H -0.457 -2.875 0.948 0.223
H -0.369 3.428 -2.132 0.367
H -1.809 3.240 -1.396 0.371
C 0.767 -1.314 1.832 0.675
H 0.879 -0.011 -1.903 0.206
```

---

Record 4
ORCA calculation (ωB97M-V with the def2-TZVPD basis set) on a single C4H10N2O molecule.

Results
SMILES string   NCCCC(N)=O
Highest occupied orbital energy   -9.3 eV
LUMO level   0.9 eV

Geometry as XYZ:
```
17
Properties=species:S:1:pos:R:3:nbo_charge:R:1
H -3.254 -0.897 0.026 0.428
H -0.885 -1.495 -0.462 0.214
C -0.623 -0.619 0.133 -0.538
N -2.996 -0.201 0.762 -0.879
C 1.609 0.678 -0.291 -0.208
H 1.966 1.420 -1.060 0.161
H 0.031 -0.989 1.046 0.247
H -0.498 1.015 -1.191 0.217
H 0.560 -0.371 -1.813 0.202
C -1.657 0.190 0.946 0.687
The Charter and Canadian society
The Charter regulates interactions between the state (federal, provincial and territorial governments) and individuals. It is, in some respects, Canada's most important law because it can render invalid or inoperative any laws that are inconsistent with its provisions. For more than 20 years, the Charter has been the driving force of change, progress and the affirmation of our society's values. Canadian courts have rendered more than 300 decisions in which they invoke the Charter to bring Canadian laws into accordance with the principles and values of Canadian society.
The Charter has had a major impact on the promotion and protection of human rights in Canada. With respect to language rights, it has reinforced the rights of official-language minorities. With regard to equality rights, it has led to the recognition and enforcement of the rights of a number of minority and disadvantaged groups. In penal matters, the Charter has clarified to a considerable extent the state's powers with respect to offender rights.
Other human rights laws
There are many other laws that protect human rights in Canada. The Canadian Bill of Rights was enacted by Parliament in 1960. It applies to legislation and policies of the federal government and guarantees rights and freedoms similar to those found in the Charter (e.g. equality rights, legal rights, and freedom of religion, of speech and of association). The Bill is not, however, part of the Constitution of Canada.
The federal and provincial and territorial governments have adopted legislation (human rights acts or codes) prohibiting discrimination on various grounds in relation to employment, the provision of goods, services and facilities customarily available to the public, and accommodation. This legislation differs in its application from the Charter's section 15 on equality rights in that it provides protection against discrimination by individuals in the private sector, as well as by governments.
What to do if your Charter rights have been denied
Anyone who believes his or her rights or freedoms under the Charter have been infringed by any level of government can go to court to ask for a remedy. The person must show that a Charter right or freedom has been violated. If the limit is one set out in the law, the Government will have an opportunity to show that the limit is reasonable under section 1 of the Charter. If the court is not convinced by the Government's argument, it can grant whatever remedy it feels is appropriate under the circumstances. For example, a court may stop proceedings against a person charged with an offence if his or her right to a trial within a reasonable time has been denied. A remedy can also be requested from a court if an official acting for the Government violates an individual's rights, for example, a police officer improperly searching for evidence on private property. Finally, if a court finds that a law violates Charter rights, for example the law is found to be discriminatory under the equality rights section, the court can declare that law has no force.
Canadian Charter and Freedom
Canadian Constitutional Act
Canadian Bill of Rights
Paul H.Cody